Website safety is a key word which is searched 200 times less in Poland than in other countries. Does it mean that polish websites are less exposed to hacking? Definitely not.
Crystal structures, as found in the file:
<<<
First-principles (PBE) data for a relaxed Ta2TiMn2 crystal, as listed in Alexandria.

Lattice parameters (Å, degrees): 2.9513 2.9650 8.8836 80.39 90.00 90.00
Closest atoms and distances in Å follow each position.
Sites, in units of the cell vectors:
Mn1 0.5000 0.5867 0.8267  4 Ti 2.58, 4 Ta 2.58
Mn2 0.5000 0.4133 0.1733  4 Ti 2.58, 4 Ta 2.58
Ti1 0.0000 0.0000 0.0000  8 Mn 2.58
Ta1 0.0000 0.8266 0.3467  4 Mn 2.58
Ta2 0.0000 0.1734 0.6533  4 Mn 2.58

## Properties
- formation energy from the elements (kJ/mol of atoms) = 6

=====

First-principles (PBE) data for a relaxed BeMo2Br crystal, as listed in Alexandria.

Lattice parameters (Å, degrees): 4.7941 4.7941 4.7941 131.16 131.16 71.56
Closest atoms and distances in Å follow each position.
Sites, in units of the cell vectors:
Mo1 0.0000 0.0000 0.0000  4 Br 2.78, 4 Mo 2.78, 4 Be 2.80
Mo2 0.2500 0.7500 0.5000  4 Mo 2.78, 4 Be 2.78, 4 Br 2.80
Be1 0.5000 0.5000 0.0000  8 Mo 2.78-2.80, 4 Br 2.78
Br1 0.7500 0.2500 0.5000  4 Be 2.78, 8 Mo 2.78-2.80

## Properties
- raw total energy (eV/atom) = -5.840

=====

First-principles (PBE) data for a relaxed YHoCuNi crystal, as listed in Alexandria.

Lattice parameters (Å, degrees): 3.7028 4.3832 5.4362 90.00 109.91 90.00
Closest atoms and distances in Å follow each position.
Sites, in units of the cell vectors:
Y1 0.1400 0.0000 0.2800  3 Ni 2.86-2.93, 4 Cu 2.95
Ho1 0.8616 0.5000 0.7232  3 Cu 2.83-2.97, 4 Ni 2.95
Ni1 0.4269 0.0000 0.8538  2 Cu 2.64, 3 Y 2.86-2.93, 4 Ho 2.95
Cu1 0.5715 0.5000 0.1430  2 Ni 2.64, 2 Ho 2.83, 4 Y 2.95

## Properties
- formation energy from the elements (kJ/mol of atoms) = -35

=====

First-principles (PBE) data for a relaxed CaFeOsSe2 crystal, as listed in Alexandria.

Lattice parameters (Å, degrees): 4.8099 5.5735 4.8099 90.00 90.00 90.00
Closest atoms and distances in Å follow each position.
Sites, in units of the cell vectors:
Fe1 0.5000 0.5000 0.5000  4 Ca 3.40, 8 Se 3.68
Se1 0.5000 0.0000 0.0000  2 Os 2.40
Se2 0.0000 0.0000 0.5000  2 Os 2.40
Os1 0.0000 0.0000 0.0000  4 Se 2.40
Ca1 0.0000 0.5000 0.0000  2 Os 2.79

## Properties
- raw total energy (eV/atom) = -5.030

=====

First-principles (PBE) data for a relaxed Mg2TaCdB crystal, as listed in Alexandria.

Lattice parameters (Å, degrees): 4.4546 4.4784 4.4546 90.00 90.00 90.00
Closest atoms and distances in Å follow each position.
Sites, in units of the cell vectors:
Ta1 0.0000 0.5000 0.0000  2 B 2.24
Cd1 0.5000 0.5000 0.5000  4 Ta 3.15, 8 Mg 3.16
Mg1 0.5000 0.0000 0.0000  2 B 2.23
Mg2 0.0000 0.0000 0.5000  2 B 2.23
B1 0.0000 0.0000 0.0000  4 Mg 2.23, 2 Ta 2.24

## Properties
- formation energy from the elements (kJ/mol of atoms) = 20

=====

First-principles (PBE) data for a relaxed Ta2BeO crystal, as listed in Alexandria.

Lattice parameters (Å, degrees): 4.6994 4.6994 6.5142 68.86 68.86 90.00
Closest atoms and distances in Å follow each position.
Sites, in units of the cell vectors:
Be1 0.2500 0.7500 0.5000  4 Ta 2.33
Be2 0.5000 0.5000 0.0000  4 Ta 2.33
>>>
Worldwide losses caused by hacking into companies’ systems are shaped from 375 to even 547 billion dollars annually (source: POLITYKA 27/2015). To compare – Apple had 52 billion income in the last fiscal year – which adequately presents the scale of the problem. In the times when even modern technology bulbs, energy meters and cars are connected to the Internet and blinds and sprinkles are controlled via smartphones – more and more elements of our lives and exposed to hacking.
During Kaspersky Security Analyst Summit conference a well know industrial, medical and aviation systems, safety specialist said: ‘Remote access changes the risk model. Frankly speaking, I don’t think we can trust the producers of those devices (…) they don’t know the terms such as SQL attack injection or buffer overflow. It’s a huge asymmetrical. The knowledge of the attackers is vast, contrary to the group who is supposed to protect the systems’. Although the communicate was directed to the owner of recently hacked car wash owner, it should concern every owner of a website too.
Inserted here: records of crystals:
┌──
Model A:
{
  "formula": "NaHoNiTe3",
  "functional": "PBE",
  "state": "optimized geometry",
  "lattice": [[-1.685, -4.962, -7.209], [3.928, -1.398, 0.044], [-2.073, -5.572, 7.929]],
  "species": ["Ni", "Ho", "Te", "Ho", "Ni", "Te", "Te", "Na", "Te", "Te", "Te", "Na"],
  "fractional_positions": [[0.097, 0.250, 0.606], [0.319, 0.750, 0.849], [0.438, 0.750, 0.171], [0.681, 0.250, 0.151], [0.903, 0.750, 0.394], [0.196, 0.750, 0.520], [0.076, 0.250, 0.856], [0.791, 0.750, 0.750], [0.562, 0.250, 0.829], [0.924, 0.750, 0.144], [0.804, 0.250, 0.480], [0.209, 0.250, 0.250]]
}

Model B:
{
  "formula": "NaHoNiTe3",
  "functional": "PBE",
  "state": "optimized geometry",
  "lattice": [[-12.063, -1.068, -0.468], [0.259, -3.776, 1.938], [-0.917, 5.554, 10.947]],
  "species": ["Te", "Te", "Te", "Te", "Te", "Ni", "Ni", "Na", "Ni", "Te", "Na", "Ni", "Te", "Te", "Te", "Na", "Te", "Ho", "Na", "Ho", "Ho", "Ho", "Te", "Te"],
  "fractional_positions": [[0.297, 0.750, 0.804], [0.099, 0.750, 0.074], [0.797, 0.750, 0.696], [0.703, 0.250, 0.196], [0.449, 0.750, 0.125], [0.237, 0.250, 0.714], [0.737, 0.250, 0.786], [0.209, 0.750, 0.508], [0.263, 0.750, 0.214], [0.401, 0.250, 0.574], [0.709, 0.750, 0.992], [0.763, 0.750, 0.286], [0.203, 0.250, 0.304], [0.551, 0.250, 0.875], [0.599, 0.750, 0.426], [0.291, 0.250, 0.008], [0.949, 0.750, 0.375], [0.041, 0.750, 0.802], [0.791, 0.250, 0.492], [0.959, 0.250, 0.198], [0.459, 0.250, 0.302], [0.541, 0.750, 0.698], [0.051, 0.250, 0.625], [0.901, 0.250, 0.926]]
}

Model C:
{
  "formula": "NaHoNiTe3",
  "functional": "PBE",
  "state": "optimized geometry",
  "lattice": [[-0.826, -5.608, 9.061], [1.857, -3.224, -1.826], [13.612, 5.287, 4.514]],
  "species": ["Ni", "Te", "Ni", "Te", "Ni", "Ho", "Te", "Ho", "Te", "Na", "Te", "Te", "Ho", "Na", "Te", "Ho", "Ni", "Na", "Te", "Te", "Na", "Te", "Te", "Te"],
  "fractional_positions": [[0.238, 0.750, 0.239], [0.927, 0.250, 0.881], [0.738, 0.750, 0.261], [0.573, 0.750, 0.381], [0.262, 0.250, 0.739], [0.514, 0.750, 0.751], [0.900, 0.750, 0.383], [0.014, 0.750, 0.749], [0.073, 0.750, 0.119], [0.768, 0.750, 0.999], [0.763, 0.750, 0.659], [0.237, 0.250, 0.341], [0.486, 0.250, 0.249], [0.732, 0.250, 0.499], [0.263, 0.750, 0.841], [0.986, 0.250, 0.251], [0.762, 0.250, 0.761], [0.232, 0.250, 0.001], [0.600, 0.250, 0.883], [0.737, 0.250, 0.159], [0.268, 0.750, 0.501], [0.400, 0.750, 0.117], [0.427, 0.250, 0.619], [0.100, 0.250, 0.617]]
}

Which is most stable? The ranking, best first, is model A, model C, model B.

Model A:
{
  "formula": "NaHoSeO",
  "functional": "PBE",
  "state": "optimized geometry",
  "lattice": [[5.583, 0.000, -0.677], [0.000, 5.630, 0.000], [-1.731, 0.000, 10.654]],
  "species": ["Se", "O", "Ho", "Na", "Se", "Na", "O", "Ho", "Se", "O", "Na", "Se", "Ho", "O", "Na", "Ho"],
└──
The aim of the attack is not only data robbery, the motivation can be just boasting about the next system burglary among the group of hackers. We never know if the person who hacked our website is not going to use the client or user database. Distribution of confidential information will reflect on our company reputation and reliability.

To avoid being hacked like for example national institutions, schools, universities, restaurants or accounting offices, every website owner or administrator should care about website security. It is worth mentioning that 5 of the above cases were hacked in 9 days. Only on one of the hackers’ forums without any problem a base of 197 other websites hacked in the same period can be found. Majority of them showed threatening information in Arabic, but nothing could prevent the hackers to additionally present pornographic content – like it was done on one of the capital library’s website at the beginning of this year.
While conducting website security audit, I often find countless, basic errors which sooner or later can be used by hackers. I don’t recommend error scanners available online. You never know if information about gaps in a website system will not get into undesirable hands.
Is it worth trying to fix the gaps on your own? It depends on your level of expertise. Without an experience and proper knowledge about database you can only do more damage. Remember that best security practices are especially needed when your website contains confidential information.
Take care of your company reputation and order a free safety report.